Clown Trouble??


Here the entry breaks off for data records =
/*
Entry 1:
A relaxed structure of LiNb2Te4Cl10O, computed with PBE-GGA.

Values from the calculation:
Energy above the lowest structure with this stoichiometry = 36 meV per atom
Symmetry = No. 2

Cell lengths 7.392, 8.626, 9.593 Å; angles 83.41, 90.95, 74.19 degrees
Positions (direct):
Li 0.500 0.000 0.000
Nb 0.518 0.639 0.637
Nb 0.482 0.361 0.363
Te 0.169 0.912 0.168
Te 0.062 0.206 0.996
Te 0.938 0.794 0.004
Te 0.831 0.088 0.832
Cl 0.447 0.169 0.180
Cl 0.403 0.485 0.817
Cl 0.784 0.190 0.419
Cl 0.166 0.527 0.280
Cl 0.597 0.515 0.183
Cl 0.336 0.207 0.517
Cl 0.834 0.473 0.720
Cl 0.664 0.793 0.483
Cl 0.216 0.810 0.581
Cl 0.553 0.831 0.820
O 0.500 0.500 0.500



Entry 2:
A relaxed structure of Be3ZnO4, computed with PBE-GGA.

Values from the calculation:
Symmetry = No. 121

Cell lengths 4.897, 4.897, 4.897 Å; angles 131.00, 131.00, 71.81 degrees
Positions (direct):
Be 0.000 0.000 0.000
Be 0.750 0.250 0.500
Be 0.250 0.750 0.500
Zn 0.500 0.500 0.000
O 0.082 0.082 0.439
O 0.643 0.643 0.561
O 0.357 0.918 0.000
O 0.918 0.357 0.000



Entry 3:
A relaxed structure of MgAg20Bi4O16, computed with PBE-GGA.

Values from the calculation:
Energy above the lowest structure with this stoichiometry = 28 meV per atom
Symmetry = No. 1

Cell lengths 6.021, 9.018, 13.225 Å; angles 91.28, 89.30, 91.63 degrees
Positions (direct):
Mg 0.267 0.728 0.957
Ag 0.225 0.725 0.163
Ag 0.737 0.778 0.630
Ag 0.930 0.480 0.032
Ag 0.499 0.998 0.497
Ag 0.008 0.151 0.654
Ag 0.610 0.566 0.901
Ag 0.970 0.858 0.343
Ag 0.533 0.371 0.154
Ag 0.526 0.985 0.245
Ag 0.971 0.482 0.260
Ag 0.451 0.021 0.745
Ag 0.058 0.513 0.739
Ag 0.477 0.036 0.997
Ag 0.006 0.499 0.495
Ag 0.234 0.273 0.868
Ag 0.232 0.774 0.630
Ag 0.673 0.731 0.077
Ag 0.765 0.224 0.370
Ag 0.736 0.261 0.861
Ag 0.260 0.224 0.366
Bi 0.525 0.381 0.613
Bi 0.932 0.898 0.868
Bi 0.481 0.619 0.385
Bi 0.012 0.111 0.119
O 0.111 0.345 0.139
O 0.412 0.860 0.372
O 0.026 0.655 0.867
O 0.591 0.138 0.620
O 0.986 0.915 0.700
O 0.495 0.389 0.788
O 0.977 0.145 0.941
O 0.486 0.639 0.569
O 0.039 0.839 0.051
O 0.514 0.357 0.436
O 0.647 0.133 0.126
O 0.847 0.634 0.382
O 0.304 0.914 0.876
O 0.158 0.368 0.613
O 0.007 0.089 0.294
O 0.491 0.596 0.218



Entry 4:
A relaxed structure of Zn3P2O12, computed with PBE-GGA.

Values from the calculation:
Energy above the lowest structure with this stoichiometry = 0 meV per atom
Symmetry = No. 2

Cell lengths 5.373, 5.873, 7.742 Å; angles 98.43, 104.92, 91.50 degrees
Positions (direct):
Zn 0.000 0.000 0.000
Zn 0.131 0.725 0.396
Zn 0.869 0.275 0.604
P 0.722 0.766 0.631
P 0.278 0.234 0.369
O 0.833 0.578 0.744
O 0.167 0.422 0.256
O 0.431 0.779 0.603
O 0.569 0.221 0.397
O 0.854 0.009 0.758
O 0.146 0.991 0.242
O 0.802 0.757 0.454
O 0.198 0.243 0.546
O 0.594 0.752 0.045
O 0.406 0.248 0.955
O 0.369 0.739 0.952
O 0.631 0.261 0.048



Entry 5:
A relaxed structure of Nd4O3F7, computed with PBE-GGA.

Values from the calculation:
Symmetry = No. 3

Cell lengths 5.852, 5.516, 5.867 Å; angles 88.90, 90.00, 90.00 degrees
*/
New Member
I have a 18 month old false perc who is in a 75 gallon tank. The only other fish in the tank were him, a lawnmower blenny, and 3 blue damsels. I have had the tank since July 2004. The man before me had it for 6 months. Originally there were two clowns. The smaller clown died unexpectedly last March. We have not added any fish until Wed. Oct. 26 when we received an order from We waited to add anything because we moved the tank to a different cabinet and put in a sump system in late September. We added last week 2 more false percs. and 3 humbug dascyllus. By Friday I noticed one of the humbugs with a sore on his mouth. He got worse and died on 11/3. By Sunday 10/30 I noticed white spots on both humbugs. They are only on their fins none on their body. They seem fluffier than ick and bigger. Not sure if it is ick or lymphocytosis? My real problem came on Sunday when the original clown, who is about 2 inches long started to act quiet. He first started hanging out on the bottom sometimes resting on the side of the g :help: lass. Sometimes just floating close to the bottom. Then he started hanging out and hiding toward the rocks in the back of the aquarium. Now he is hanging out in a cave in the aquarium. He is not coming out to eat at all. I have not really seen him eat since Sunday. I feed flakes 1xday and brine shrimp in the evening. I use garlic guard and Zoecon to their food. I also got some pellets from my lfs called Dainichi. He is not really interested in anything. The last 2 days it almost seems like he is going to go for something but doesn't. Looks like he holds his mouth open to catch something?? The first 4 days him and the 2 new percs swam together like crazy, If I got up at night and checked on them they were still swimming, it was like they were never resting. Now even though he hides during day and is quiet, if I check on him at night he is resting outside sleeping head down like he normally always did. in the back corner of the tank. Last night one of the little percs was next to him. Also sometimes in the cave with him. I have not noticed any of the fish pick on each other at all. I even sit up with the moonlights on and the room dark and watch what I see at night. Some of the books I read about percs was that you could keep them in groups, but I see on these boards that you should only have 2. Should I take 1 back? Should I get rid of the humbugs?? Does anyone think my original perc is sick?? I don't noticed any white spots on him or anything else on his body, his color looks good? Help I don't know what to do! My levels in my tank are pH 8.2, sp gr. 1.023, Ammonia 0, nitrite 0, nitrate less than 10, Calcium 600, alkalinity 3.5, temp 78. I have a protein skimmer, 2 penquin power filters, 40# of live rock,(I know I could have way more, we are doing this a little at a time.) powerheads for water movement, sand bottom, some mushrooms, yellow polyps, sea urchin, 2 skunk clearners, 5 peppermint shrimp, 1 sally lightfoot, 1 emerald crab, 4 feather dusters, hermits and snails, 2 150W halide, 2 96W actinic, 3 1W moonlights. P.S. I get a different story from every LFS I have talked to.
Thanks for any help